Owning Our Value
As women perhaps how we perceive our value is just fine but in the world of success it is not always working in our favor. In the past five years there is a growing interest in understanding professional women and women business owners. We are becoming a force in the economy and leaders with influence. That is good for everyone but do we own our value. Are we being measured in comparison to how men see their value?
Differences Between Men and Women
Recent gender equity studies comparing men and women find that men tend to over value themselves, exaggerate their capabilities, over-state their successes and present exaggerated expectations to receive recognition, compensation or funding. Sounds horrible but that is how the game has been played for a very long time.
A recent study addressing why men have more access to capital and market opportunities stated that men tend to be more competitive, are more aggressive negotiators, are comfortable overstating their capabilities and have greater expectations for compensation, funding, recognition, etc.
Next to the article, the page also holds records of crystals >
+++
Record 1
This entry pairs a crystal structure of Gd3MgCd2Ir2Au with its simulated powder diffractogram. Radiation: Cu Kα X-rays. Structure: DFT lattice parameters and positions (PBE).
Kinematic intensities with the Lorentz-polarization factor, no thermal factor.

The 10 most intense peaks (2θ = 10–90°), in order of falling intensity:
2θ 35.59, intensity 100, hkl 1 2 2
2θ 35.38, intensity 98, hkl 1 4 0
2θ 32.81, intensity 68, hkl 1 0 2
2θ 32.65, intensity 62, hkl 1 3 1
2θ 41.35, intensity 58, hkl 0 3 3
2θ 45.87, intensity 45, hkl 2 0 0
2θ 26.29, intensity 33, hkl 1 2 0
2θ 63.45, intensity 33, hkl 2 3 3
2θ 36.14, intensity 29, hkl 0 4 2
2θ 43.19, intensity 28, hkl 1 1 3

```
data_Gd3MgCd2Ir2Au
_space_group_name_H-M_alt 'A m m 2'
_space_group_IT_number 38
_cell_length_a 3.9568
_cell_length_b 13.2247
_cell_length_c 7.5393
_cell_angle_alpha 90.00
_cell_angle_beta 90.00
_cell_angle_gamma 90.00
loop_
_space_group_symop_operation_xyz
'x,y,z'
'-x,-y,z'
'-x,y,z'
'x,-y,z'
'x,y+1/2,z+1/2'
'-x,-y+1/2,z+1/2'
'-x,y+1/2,z+1/2'
'x,-y+1/2,z+1/2'
loop_
_atom_site_label
_atom_site_fract_x
_atom_site_fract_y
_atom_site_fract_z
_atom_site_occupancy
Gd1 0.0000 0.0000 0.0000 1
Gd2 0.0000 0.2093 0.6123 1
Mg1 0.5000 0.0000 0.6667 1
Cd1 0.5000 0.1306 0.2781 1
Ir1 0.5000 0.1621 0.8986 1
Au1 0.0000 0.0000 0.4232 1
```


Record 2
This entry pairs a crystal structure of Li3As4HAu2O14 with its simulated powder diffractogram. Radiation: Cu Kα X-rays. Structure: DFT lattice parameters and positions (PBE).
Kinematic intensities with the Lorentz-polarization factor, no thermal factor.

The 10 most intense peaks (2θ = 10–90°), in order of falling intensity:
2θ 21.01, intensity 100, hkl -1 1 1
2θ 14.24, intensity 78, hkl 0 0 2
2θ 32.88, intensity 71, hkl 1 1 -1
2θ 22.05, intensity 49, hkl 1 -1 1
2θ 31.92, intensity 46, hkl 1 0 3
2θ 38.21, intensity 40, hkl 1 0 -5
2θ 22.36, intensity 37, hkl 1 0 -2
2θ 24.86, intensity 33, hkl 0 1 2
2θ 36.21, intensity 31, hkl 0 1 4
2θ 34.09, intensity 28, hkl -1 1 4

```
data_Li3As4HAu2O14
_space_group_name_H-M_alt 'P -1'
_space_group_IT_number 2
_cell_length_a 5.0574
_cell_length_b 5.2786
_cell_length_c 12.6419
_cell_angle_alpha 91.52
_cell_angle_beta 98.32
_cell_angle_gamma 116.33
loop_
_space_group_symop_operation_xyz
'x,y,z'
'-x,-y,-z'
loop_
_atom_site_label
_atom_site_fract_x
_atom_site_fract_y
_atom_site_fract_z
_atom_site_occupancy
Li1 0.0000 0.0000 0.0000 1
Li2 0.3862 0.2082 0.5295 1
As1 0.1194 0.5800 0.6279 1
As2 0.3029 0.6021 0.8793 1
H1 0.5000 0.0000 0.0000 1
Au1 0.1704 0.9858 0.2575 1
O1 0.0998 0.6659 0.7646 1
O2 0.1209 0.2542 0.6333 1
O3 0.1780 0.2449 0.8815 1
O4 0.2041 0.4396 0.4389 1
O5 0.2633 0.7837 0.9843 1
O6 0.3290 0.2485 0.1345 1
O7 0.4431 0.8684 0.6066 1
```


Record 3
This entry pairs a crystal structure of Cu7Ag2 with its simulated powder diffractogram. Radiation: Cu Kα X-rays. Structure: DFT lattice parameters and positions (PBE).
Kinematic intensities with the Lorentz-polarization factor, no thermal factor.
+++
The article goes on >
A Women’s Way of Being
This same study state that women enter places of leadership and success with an entirely different perspective on how they value themselves. Women tend to accurately assess their capabilities, to underestimate what they are capable of, only make promises they are 100% sure they can meet and are, in general, more modest in their expectations.
As we know not all women share these values and some are quite comfortable operating in careers and businesses using male values but that is not the majority by far.
Who’s Way Is Right?
As I have conversions with business, spiritual and political leaders around these issues I wonder if women have to change how we are. Do we want the same things men have traditionally expected as professionals and business owners? Do the values we hold bring a new perspective to the world of success? Are the ways in which we hold our value offer a new way of being in the world? Is it time for our perspective rather than finding ways for women to fit into the current culture of success?
As everyone rushes to call foul, that women are being discriminated against (and in some ways we are) and that the world needs to give us the same opportunities and compensation the men have, I wonder. Another way to look at this is women bring a new perspective, one that is healthy, balanced and fair. We don’t seek multimillion dollar compensation and stock options as the CEO of a failing company or when the company is cutting salaries of the staff. We don’t try to work the system to improve our own status in the company, agency or organization at the expense of others. We don’t manipulate our books to present a better financial picture to our stakeholders. You may say this assessment is not fair, but the examples of this are too numerous to ignore. These are old ways in which business and government have gone astray from core values and with disastrous results.
Equality Has Many Faces
Of course we want equal access and opportunity but do we want to fit into the current culture to advance our careers, gain access to capital, get our fair share of the market and contracts. Do we really want to be part of the 1% in business and disregard the whole? These are not feminine values. We are focused on success but in a new way.
Attached: records of crystals:
********
This entry pairs a crystal structure of KCeSe4 with its computed XRD peak list. Radiation: Cu Kα (weighted mean of Kα1 and Kα2). Structure: a crystal structure in Alexandria, relaxed with GGA-PBE.
Neutral-atom scattering factors, no anomalous dispersion.

Structure:
a b c (Å): 6.374 6.374 8.454
angles (deg): 90.00 90.00 90.00
Space group P4/nbm (No. 125, origin choice 2)
One atom of each set of equivalent atoms:
K1 0.250 0.250 0.000
Ce1 0.250 0.250 0.500
Se1 0.113 0.613 0.290

Most intense lines, 2θ = 10–90°, by angle:
2θ (°)  Rel. int.  h k l
10.46  90  0 0 1
28.96  100  1 1 2
33.16  83  2 1 1
35.27  32  2 0 2
37.64  20  1 1 3
44.97  41  3 1 0
45.25  19  2 1 3
62.26  24  4 0 2

~~~~~

Simulated X-ray powder pattern of Pm2MnAl12Ni3 for Cu Kα, from a crystal structure in Alexandria, relaxed with GGA-PBE.
Neutral-atom scattering factors, no anomalous dispersion.

Structural model:
```
18
Lattice="3.1611 1.8251 9.4847 -3.1611 1.8251 9.4847 0.0000 -3.6501 9.4847" Properties=species:S:1:pos:R:3 pbc="T T T"
Pm 0.0000 0.0000 4.0237
Pm 0.0000 0.0000 24.4305
Mn 0.0000 0.0000 14.2271
Al 0.0000 -2.1113 8.2544
Al -1.8284 1.0557 8.2544
Al -1.4277 -0.8243 12.3737
Al -1.8284 -1.0557 20.1998
Al 0.0000 -1.6486 16.0806
Al -1.4277 0.8243 16.0806
Al 1.4277 -0.8243 12.3736
Al 0.0000 1.6486 12.3736
Al 1.8284 1.0556 8.2544
Al 1.4277 0.8243 16.0806
Al 1.8284 -1.0556 20.1998
Al 0.0000 2.1113 20.1998
Ni -1.5805 -0.9125 9.4847
Ni -1.5805 0.9125 18.9695
Ni 0.0000 1.8251 9.4847
```

The 12 most intense peaks (2θ from 10° to 80°), by intensity:
| d (Å) | Rel. int. |
| --- | --- |
| 2.999 | 100 |
| 2.169 | 55 |
| 2.339 | 38 |
| 1.581 | 33 |
| 2.725 | 30 |
| 4.339 | 28 |
| 4.742 | 27 |
| 2.525 | 26 |
| 1.792 | 23 |
| 1.616 | 20 |
| 3.264 | 19 |
| 2.630 | 18 |

***

Simulated X-ray powder pattern of MgH6Rh2 for Cu Kα, from a crystal structure in Alexandria, relaxed with GGA-PBE.
Neutral-atom scattering factors, no anomalous dispersion.

Structural model:
```
27
Lattice="7.8596 0.0000 0.0000 -3.9298 6.8066 0.0000 0.0000 0.0000 4.0147" Properties=species:S:1:pos:R:3 pbc="T T T"
Mg 0.0000 0.0000 0.0000
Mg 0.0000 4.5377 1.9064
Mg 3.9298 2.2689 2.1084
H -1.3558 3.5852 3.0741
H -2.5565 5.8153 2.9053
H 0.1719 1.6850 2.9053
H -0.1078 2.8288 0.8523
H -1.4261 5.4856 0.8523
H 1.3733 0.9914 1.1094
H 2.5037 1.3210 3.1625
H -0.1470 6.1882 3.0741
H 1.5028 3.8399 3.0741
H 3.7828 0.6185 0.9407
H 2.5740 3.2214 0.9407
H 1.5339 5.2988 0.8523
H 2.3846 6.1130 2.9053
H 3.8220 3.9778 3.1625
H 5.4637 1.5078 3.1625
H 6.3144 0.6936 1.1094
H 4.1017 5.1216 1.1094
H 5.4326 2.9667 0.9407
Rh -1.2806 2.2181 2.0074
Rh -2.5879 4.4823 0.0000
Rh 2.5612 0.0000 2.0074
Rh 1.3419 2.3243 0.0000
Rh 5.1757 0.0000 0.0000
Rh 2.6492 4.5886 2.0074
```

The 12 most intense peaks (2θ from 10° to 80°), by intensity:
| d (Å) | Rel. int. |
| --- | --- |
| 2.808 | 100 |
| 2.269 | 44 |
| 1.765 | 25 |
| 1.503 | 24 |
| 3.930 | 24 |
| 1.393 | 22 |
| 2.007 | 10 |
| 1.267 | 8 |
| 1.310 | 7 |
| 1.788 | 5 |
| 1.965 | 3 |
| 1.485 | 3 |
********
In the End
In the end I see our gender differences as essential to create a new culture of business, one that is values based, promotes the success of individuals as well as the whole, a culture that supports collaboration and good will. These are dramatic changes and ones that will only come from feminine values, values that both men and women can hold. We have to bring them forward without fear or uncertainty. We have to hold the value, our value, as creators of change.
_Attached: materials data_
~~~
Record 1
The following is a calculated powder XRD pattern of La2YSc2In5. It was derived from a cell relaxed with GGA-PBE, using Cu Kα (λ = 1.5418 Å).
Neutral-atom scattering factors, no anomalous dispersion.

Top 8 peaks for 10° ≤ 2θ ≤ 90°, by angle:
Position (°2θ)	I/Imax	h k l
26.65	371	2 1 1
30.36	306	2 2 1
32.61	1000	3 1 1
34.39	525	4 1 0
35.42	169	3 3 0
35.76	358	3 2 1
38.69	414	0 0 2
52.72	304	4 1 2

Crystal structure
abc: 10.752 10.752 4.655
angles: 90.00 90.00 90.00
Space group P4/mbm (No. 127)
Unique sites:
La (0.179, 0.321, 0.000) (multiplicity 4)
Y (0.000, 0.000, 0.000) (multiplicity 2)
Sc (0.119, 0.619, 0.000) (multiplicity 4)
In (0.000, 0.500, 0.500) (multiplicity 2)
In (0.062, 0.797, 0.500) (multiplicity 8)

***

Record 2
The following is a calculated powder XRD pattern of LaInSe. It was derived from a cell relaxed with GGA-PBE, using Cu Kα (λ = 1.5418 Å).
Neutral-atom scattering factors, no anomalous dispersion.

Top 8 peaks for 10° ≤ 2θ ≤ 90°, by angle:
Position (°2θ)	I/Imax	h k l
24.84	475	1 0 4
30.19	252	0 0 9
31.55	884	1 0 7
36.61	1000	1 1 0
48.15	406	1 1 9
49.08	252	0 2 7
59.63	185	1 0 16
62.76	238	2 1 7

Crystal structure
abc: 4.9095 4.9095 26.6448
angles: 90.00 90.00 120.00
Space group R-3m (No. 166, hexagonal axes)
Unique sites:
La (0.0000, 0.0000, 0.0930) (multiplicity 6)
In (0.0000, 0.0000, 0.3444) (multiplicity 6)
Se (0.0000, 0.0000, 0.2087) (multiplicity 6)

***

Record 3
The following is a calculated powder XRD pattern of LaIn2Se4. It was derived from a cell relaxed with GGA-PBE, using Cu Kα (λ = 1.5418 Å).
Neutral-atom scattering factors, no anomalous dispersion.

Top 8 peaks for 10° ≤ 2θ ≤ 90°, by angle:
Position (°2θ)	I/Imax	h k l
19.60	141	1 0 1
24.56	1000	1 1 1
39.81	537	2 0 2
42.27	221	2 2 0
45.11	190	1 1 3
49.49	277	3 1 1
63.52	126	3 1 3
75.63	141	4 2 2

Crystal structure
abc: 6.048 6.048 6.832
angles: 90.00 90.00 90.00
Space group P-42m (No. 111)
Unique sites:
La (0.000, 0.000, 0.000) (multiplicity 1)
In (0.000, 0.500, 0.500) (multiplicity 2)
Se (0.270, 0.270, 0.260) (multiplicity 4)

***

Record 4
The following is a calculated powder XRD pattern of LaIn6Se8. It was derived from a cell relaxed with GGA-PBE, using Cu Kα (λ = 1.5418 Å).
Neutral-atom scattering factors, no anomalous dispersion.

Top 8 peaks for 10° ≤ 2θ ≤ 90°, by angle:
Position (°2θ)	I/Imax	h k l
19.99	362	0 2 1
21.13	408	0 0 3
28.63	1000	3 -2 2
34.14	545	0 2 4
34.82	287	1 3 1
42.12	337	5 -2 1
43.71	302	1 4 0
49.04	398	4 1 3

Crystal structure
abc: 10.9579 10.9579 12.6136
angles: 90.00 90.00 120.00
Space group R-3 (No. 148, hexagonal axes)
Unique sites:
La (0.0000, 0.0000, 0.0000) (multiplicity 3)
In (0.0169, 0.7715, 0.3585) (multiplicity 18)
Se (0.0000, 0.0000, 0.2774) (multiplicity 6)
Se (0.0429, 0.4581, 0.7677) (multiplicity 18)
~~~
_Back to the page_
Our challenge is to see the value of the feminine way of being. To see the greater value we have in changing our world. We do not have to fit in. We just have to step in. Owning our value means showing the values we hold as women and know the power we have to make changes.
I truly hope that women continue to bring their feminine values and perspective to their families, communities and work as they create success. We will create change not by adjusting to the world as it is but by bringing in a women’s perspective to balance that world. Step in and own your value.
Best wishes on your success, Kay